Assignment:
Find "Se1 0.0744" and "0.608 0.949" in the contents below, and type out these two lines and those between.

Given:
- - -
CaPmTe2: relaxed, GGA-PBE.

E_form (uncorrected): -1.51 eV per atom
Total energy: -4.77 eV/atom
Size of the total moment: 0.00 μB per cell
Space-group type: R-3m, No. 166
V: 127 Å³ per cell

abc: 4.4399 4.4399 7.8854
angles: 90.02 106.33 119.99
Atoms (fractional coordinates):
Ca1 0.0000 0.5000 0.5000
Pm1 0.0000 0.0000 0.0000
Te1 0.4980 0.2489 0.7470
Te2 0.5020 0.7511 0.2531

=====

Record 1
Entry from the Alexandria database: a geometry-optimized Pa2MnCo3Ge4 structure (GGA-PBE).

* magnetization: 2.39 μB/cell
* E: -72.9 eV per cell

CIF file:
```
data_Pa2MnCo3Ge4
_chemical_formula_sum 'Pa2 Mn1 Co3 Ge4'
_space_group_name_H-M_alt 'P -4 m 2'
_space_group_IT_number 115
_cell_length_a 4.008
_cell_length_b 4.008
_cell_length_c 9.935
_cell_angle_alpha 90.00
_cell_angle_beta 90.00
_cell_angle_gamma 90.00
loop_
_space_group_symop_operation_xyz
'x,y,z'
'y,-x,-z'
'-x,-y,z'
'-y,x,-z'
'-x,y,z'
'-y,-x,-z'
'x,-y,z'
'y,x,-z'
loop_
_atom_site_label
_atom_site_fract_x
_atom_site_fract_y
_atom_site_fract_z
Pa1 0.000 0.500 0.245
Mn1 0.000 0.000 0.500
Co1 0.000 0.500 0.871
Co2 0.500 0.500 0.500
Ge1 0.000 0.000 0.000
Ge2 0.000 0.500 0.638
Ge3 0.500 0.500 0.000
```

***

Record 2
Entry from the Alexandria database: a geometry-optimized MnCoGePd structure (GGA-PBE).

* magnetization: 20.65 μB/cell
* E: -107.0 eV per cell

CIF file:
```
data_MnCoGePd
_chemical_formula_sum 'Mn4 Co4 Ge4 Pd4'
_space_group_name_H-M_alt 'F -4 3 m'
_space_group_IT_number 216
_space_group_name_Hall 'F -4 2 3'
_cell_length_a 6.012
_cell_length_b 6.012
_cell_length_c 6.012
_cell_angle_alpha 90.00
_cell_angle_beta 90.00
_cell_angle_gamma 90.00
loop_
_atom_site_label
_atom_site_fract_x
_atom_site_fract_y
_atom_site_fract_z
Mn1 0.000 0.000 0.000
Co1 0.250 0.250 0.250
Ge1 0.000 0.000 0.500
Pd1 0.250 0.250 0.750
```

***

Record 3
Entry from the Alexandria database: a geometry-optimized PmMnCoGe3 structure (GGA-PBE).

* magnetization: 2.85 μB/cell
* E: -144.8 eV per cell

CIF file:
```
data_PmMnCoGe3
_chemical_formula_sum 'Pm4 Mn4 Co4 Ge12'
_space_group_name_H-M_alt 'C m c m'
_space_group_IT_number 63
_space_group_name_Hall '-C 2c 2'
_cell_length_a 7.182
_cell_length_b 10.870
_cell_length_c 5.767
_cell_angle_alpha 90.00
_cell_angle_beta 90.00
_cell_angle_gamma 90.00
loop_
_atom_site_label
_atom_site_fract_x
_atom_site_fract_y
_atom_site_fract_z
Pm1 0.000 0.245 0.250
Mn1 0.000 0.448 0.750
Co1 0.000 0.040 0.750
Ge1 0.000 0.243 0.750
Ge2 0.249 0.000 0.000
```

=====

Material: Tl3AuSe3
Method: DFT, GGA-PBE
State: optimized geometry

Calculated values
- E_tot: -3.1687 eV/atom
- Formation energy from raw total energies: -0.1930 eV per atom
- DOS at the Fermi energy: 0.14 states/eV per atom

Unit cell a=9.5032 b=9.5032 c=5.8269 alpha=90.00 beta=90.00 gamma=120.00
With the nearest neighbours (Å) after each atom.
Space group P6_3/m (No. 176)
Symmetry-distinct sites (fractional):
Tl1 0.0416 0.6786 0.2500 (multiplicity 6)  4 Se 2.93-3.16
Au1 0.3333 0.6667 0.7500 (multiplicity 2)  3 Se 2.62
Se1 0.0744 0.6969 0.7500 (multiplicity 6)  1 Au 2.62, 2 Tl 2.93

=====

Record 1
Entry from Alexandria: a relaxed structure of KAcTl2F6 (PBE). Values from VASP.

The structure in Quantum ESPRESSO input format:
```
&SYSTEM
  ibrav = 0, nat = 20, ntyp = 4
/
ATOMIC_SPECIES
K 39.10 K.upf
Ac 227.00 Ac.upf
Tl 204.38 Tl.upf
F 19.00 F.upf
ATOMIC_POSITIONS crystal
K 0.000 0.000 0.000
K 0.000 0.500 0.500
Ac 0.500 0.000 0.500
Ac 0.500 0.500 0.000
Tl 0.237 0.041 0.749
Tl 0.237 0.459 0.249
Tl 0.763 0.541 0.751
Tl 0.763 0.959 0.251
F 0.141 0.173 0.443
F 0.141 0.327 0.943
F 0.268 0.706 0.432
F 0.268 0.794 0.932
F 0.392 0.051 0.265
F 0.392 0.449 0.765
F 0.608 0.551 0.235
F 0.608 0.949 0.735
F 0.732 0.206 0.068
F 0.732 0.294 0.568
F 0.859 0.673 0.057
F 0.859 0.827 0.557
CELL_PARAMETERS angstrom
6.690 0.000 0.000
0.000 7.003 0.000
-6.563 0.000 9.658
```

* uncorrected formation energy: -2902 meV/atom
* raw total energy: -5.02 eV/atom

Record 2
Entry from Alexandria: a relaxed structure of Al3V2Ga4 (PBE). Values from VASP.
- - -

Reply:
Se1 0.0744 0.6969 0.7500 (multiplicity 6)  1 Au 2.62, 2 Tl 2.93

=====

Record 1
Entry from Alexandria: a relaxed structure of KAcTl2F6 (PBE). Values from VASP.

The structure in Quantum ESPRESSO input format:
```
&SYSTEM
  ibrav = 0, nat = 20, ntyp = 4
/
ATOMIC_SPECIES
K 39.10 K.upf
Ac 227.00 Ac.upf
Tl 204.38 Tl.upf
F 19.00 F.upf
ATOMIC_POSITIONS crystal
K 0.000 0.000 0.000
K 0.000 0.500 0.500
Ac 0.500 0.000 0.500
Ac 0.500 0.500 0.000
Tl 0.237 0.041 0.749
Tl 0.237 0.459 0.249
Tl 0.763 0.541 0.751
Tl 0.763 0.959 0.251
F 0.141 0.173 0.443
F 0.141 0.327 0.943
F 0.268 0.706 0.432
F 0.268 0.794 0.932
F 0.392 0.051 0.265
F 0.392 0.449 0.765
F 0.608 0.551 0.235
F 0.608 0.949 0.735